There is a lot going on behind the scenes in the financial system. There is a split inside Black Nobility about how to proceed with their plans.
Quantum chemistry results from another source follow >
/*
# 1
53
Properties=species:S:1:pos:R:3:forces:R:3 method="wB97M-V/def2-TZVPD" lumo_ev="-0.97 / -0.41" spin_multiplicity=4 s2=3.955 charge=0
Tc 0.22319 0.39294 -0.43679 -4.029 0.870 -1.616
P 2.26230 0.00212 -1.09956 2.404 -0.853 -1.734
P -2.51832 0.59403 1.36055 2.327 -1.274 0.087
N -0.65183 0.57720 -2.06306 2.403 0.368 3.145
H 1.20091 -2.20814 4.02384 -0.903 -1.913 2.608
C 2.48861 -1.80139 -0.94790 0.376 0.139 0.059
H 3.52431 -2.06995 -1.16505 -0.004 -0.216 0.059
H 1.81947 -2.29418 -1.66237 0.093 0.078 0.199
H 2.21575 -2.08197 0.08046 0.071 -0.036 -0.267
C 3.73788 0.73764 -0.30043 -0.289 -0.159 -0.025
H 4.64777 0.41147 -0.83102 -0.269 0.200 0.303
H 3.75007 0.39033 0.74615 0.133 0.276 -0.334
H 3.61058 1.83123 -0.34941 0.272 -0.396 0.129
C 2.53905 0.35231 -2.90316 0.083 0.019 0.359
H 3.61351 0.25998 -3.13778 -0.419 0.043 -0.010
H 2.18435 1.38038 -3.09654 0.210 -0.525 -0.065
H 1.95689 -0.36980 -3.50226 0.192 0.421 0.281
C -3.40145 -0.90294 1.80818 -0.668 0.199 0.169
H -4.34330 -0.61549 2.29326 0.020 -0.212 -0.124
H -2.79631 -1.52289 2.49053 -0.123 0.485 -0.399
H -3.61697 -1.47322 0.89317 0.062 0.213 0.223
C -2.31960 1.73400 2.73115 -0.595 0.255 0.126
H -3.30991 1.97401 3.14206 0.265 0.105 0.046
H -1.84555 2.65465 2.35640 -0.166 -0.313 0.091
H -1.68833 1.28729 3.51724 -0.230 -0.098 -0.414
C -3.34253 1.37462 -0.03866 -0.283 0.125 0.188
H -4.34536 1.70317 0.28626 0.330 -0.075 -0.218
H -3.44252 0.63692 -0.85293 0.113 0.334 0.310
H -2.75702 2.24242 -0.38346 -0.213 -0.374 0.094
C -1.29385 0.59244 -3.22712 -1.324 -0.519 -2.266
C -2.35060 -0.65583 -5.07805 0.002 0.221 0.024
C -1.70074 -0.65067 -3.85062 0.427 1.151 0.420
C -1.60641 1.81832 -3.92799 0.447 -0.956 0.964
C -2.25743 1.78806 -5.15041 0.005 -0.221 -0.180
C -2.62611 0.55907 -5.72931 -0.033 0.036 0.005
H -2.62788 -1.61498 -5.53437 0.071 0.509 0.147
H -1.43767 -1.56010 -3.31060 -0.158 0.115 -0.223
H -1.27511 2.74216 -3.44026 -0.231 -0.263 -0.333
H -2.46519 2.73446 -5.66595 0.038 -0.498 0.166
H -3.13131 0.54889 -6.70284 0.227 0.015 0.449
C 1.72074 -1.56440 3.42786 0.879 0.943 -0.980
O 0.77564 -1.40877 2.41506 1.438 0.641 -1.507
C 3.12212 -2.18364 3.20812 0.169 -0.540 -0.244
H 3.90243 -1.40636 3.35231 -0.279 -0.641 -0.533
H 3.22784 -2.69632 2.25470 0.087 0.060 -0.252
H 3.30458 -2.96418 3.97888 -0.095 0.504 -0.321
C 2.00925 -0.27282 4.12925 -0.084 1.163 1.016
H 1.31390 -0.05575 4.93461 -0.475 0.211 -0.179
H 1.97596 0.53254 3.38676 0.054 0.040 0.122
H 2.97924 -0.26371 4.63033 0.113 0.053 -0.117
O -0.89946 -0.99523 4.25659 0.199 1.797 3.194
N -0.84418 -1.52095 3.22946 -0.656 -2.067 -3.044
O -1.07401 0.14071 1.00590 -1.982 0.562 0.402


# 2
21
Properties=species:S:1:pos:R:3:forces:R:3 method="wB97M-V/def2-TZVPD" lumo_ev=0.82 relative_energy_ev=2.647 charge=0
C 1.06460 2.08876 -0.55341 0.122 -0.691 2.273
C 0.74468 1.05254 0.18387 2.897 -0.399 4.416
C -1.18172 -0.23045 1.08787 -1.299 -0.076 -5.153
C -0.92568 0.25039 -1.34002 -0.567 -0.843 -0.857
C 0.63927 -1.38797 -0.31917 -0.399 0.999 1.147
*/
One Black Nobility faction wants to crash the current system through repo market as soon as possible and replace it with IMF centralized crypto financial system where people would pay with their smartphones and their behavior would be monitored and evaluated with a social score credit system.
JP Morgan and Deutsche Bank are both major players in the coming financial crisis and are both backed by this Black Nobility faction. This faction is also backing IMF and the policy of ECB, and Christine Lagarde is one of their main players:
At that moment this faction felt it is ready for the next move and on the very same day, they triggered a huge anomaly in the repo market that was further expanded by JP Morgan withholding liquidity from other banks:
That article has brought the situation in the repo market into the public awareness and the Fed realized the system could crash for the New Year if they would not intervene. Their response was massive and quick, they are planning to pump 500 billion dollars of liquidity into the system in the next few weeks:
There will be no global financial crash for the New Year, but without the intervention of the Fed we were closer to the total crash than at any point in history.
The Light Forces do NOT want a hard crash of the system, they want a gradual and balanced meltdown of the system combined with the increased awareness which would lead into the positive financial Reset.
For this reason they are asking as many people as possible to join the following meditation:
Quantum chemistry results, kept here for reference >
********
114
Properties=species:S:1:pos:R:3 method="wB97M-V/def2-TZVPD" gap_ha=0.054 homo_ha=-0.410 total_charge=+1 largest_force_ha_per_bohr=0.0732
Tl -19.158 27.577 -18.368
S -18.269 31.630 -19.230
O -18.570 30.358 -18.560
O -16.829 31.719 -19.482
O -19.052 31.672 -20.471
O -18.564 32.745 -18.320
C -16.945 29.221 -15.713
O -17.008 28.022 -16.439
C -15.897 27.163 -16.310
C -16.217 25.845 -17.061
N -16.451 26.158 -18.462
C -16.531 24.923 -19.244
C -16.937 25.308 -20.695
O -18.229 25.806 -20.786
C -18.560 25.946 -22.149
H -16.017 29.785 -15.817
H -17.016 28.912 -14.671
H -17.775 29.889 -15.940
H -15.840 26.998 -15.234
H -14.943 27.568 -16.648
H -17.002 25.232 -16.619
H -15.374 25.157 -16.994
H -15.598 26.622 -18.743
H -17.194 24.131 -18.897
H -15.534 24.483 -19.246
H -16.740 24.455 -21.346
H -16.210 26.048 -21.030
H -18.030 26.752 -22.656
H -19.585 26.316 -22.135
H -18.530 25.043 -22.759
C -21.198 38.652 -9.036
O -21.106 39.838 -9.864
C -20.908 39.622 -11.229
C -19.623 38.899 -11.569
N -19.629 38.440 -12.951
C -18.317 37.741 -13.253
C -18.462 37.011 -14.633
O -19.444 35.939 -14.520
C -19.780 35.327 -15.760
H -21.829 38.816 -8.162
H -20.199 38.450 -8.652
H -21.655 37.803 -9.545
H -20.948 40.553 -11.794
H -21.786 39.060 -11.546
H -19.551 37.985 -10.979
H -18.863 39.602 -11.227
H -20.382 37.801 -13.164
H -18.258 36.923 -12.536
H -17.456 38.410 -13.234
H -17.496 36.585 -14.903
H -18.849 37.756 -15.329
H -20.404 34.465 -15.525
H -18.980 34.965 -16.405
H -20.379 35.988 -16.387
C -15.533 28.436 -22.836
O -16.552 29.243 -23.463
C -16.311 30.682 -23.339
C -17.608 31.464 -23.725
N -17.973 31.118 -25.068
C -19.304 31.680 -25.317
C -19.559 31.598 -26.836
O -20.893 31.647 -27.079
C -21.205 31.417 -28.417
H -15.658 27.379 -23.067
H -15.368 28.411 -21.759
H -14.574 28.657 -23.303
H -15.448 31.015 -23.915
H -15.983 30.955 -22.336
H -17.232 32.486 -23.774
H -18.392 31.238 -23.003
H -18.120 30.130 -24.920
H -19.424 32.738 -25.081
H -20.113 31.124 -24.843
H -19.169 30.653 -27.215
H -18.948 32.385 -27.277
H -21.355 30.340 -28.495
H -20.442 31.707 -29.139
H -22.158 31.789 -28.794
C -16.029 35.334 -18.816
O -16.269 34.446 -19.976
H -15.394 34.899 -18.045
H -15.595 36.291 -19.107
H -16.935 35.410 -18.215
H -16.502 33.576 -19.643
O -18.696 34.263 -21.376
H -18.750 33.327 -21.180
H -17.822 34.519 -21.084
O -21.294 31.969 -21.477
H -20.423 31.818 -21.109
H -21.177 32.710 -22.071
O -18.998 29.062 -21.108
H -18.300 29.291 -21.723
H -19.432 29.894 -20.917
O -16.493 28.852 -19.453
H -15.615 28.470 -19.441
H -16.344 29.796 -19.509
O -17.530 32.731 -15.991
H -17.947 32.774 -16.851
H -16.757 32.183 -16.127
O -14.403 31.738 -20.269
H -14.358 32.644 -20.574
H -15.317 31.617 -20.010
O -20.903 31.682 -17.031
H -21.508 32.130 -17.622
H -20.041 31.812 -17.426
O -21.321 29.559 -19.132
H -22.153 29.243 -19.484
H -21.567 30.261 -18.529
O -20.049 34.779 -19.029
H -19.611 33.963 -18.785
H -19.756 34.948 -19.925
O -15.221 31.972 -17.301
H -15.893 31.764 -17.949
H -14.445 32.187 -17.819

=====

27
********
End of the quantum chemistry results >
We will be doing this mediation until the actual Age of Aquarius activation itself.
The trading week between January 13th and January 17th is the time of greatest probability that the situation in the financial markets will burst into a full crisis which will lead towards the meltdown of the current financial system.
The astrological chart of the opening of the New York stock exchange on Monday January 13th at 9:30 am EST shows a powerful exact quadruple Sun-Saturn-Pluto-Ceres conjunction with all those planets congested just within 8 minutes of arc, whereas Saturn will actually be behind the Solar disc as seen from Earth!
Some people are expecting the collapse of Deutsche Bank around January 15th:
Financial analyst Martin Armstrong is studying market cycles and his conclusion is that economic confidence cycle will reach its lowest point around January 18th/19th
Two independent sources have communicated that European institutions will not allow Deutsche Bank to collapse, and they will save it at the last moment, similar to this: